_Job_
Please find the line further down that holds "0.2500 0.9792", then copy that line and all lines after it there.
_Contents_
........
1.
The following is a DFT calculation (PBE) of a relaxed structure of Tb2YHo6Sc.

a b c (Å): 9.4044 8.6639 8.6639
angles (deg): 117.69 93.87 93.87
Atoms (fractional coordinates):
Sc 0.2500 0.4129 0.5871
Sc 0.7500 0.5871 0.4129
Ho 0.1904 0.5668 0.0089
Ho 0.5557 0.7515 0.1288
Ho 0.6904 0.0089 0.5668
Ho 0.8096 0.4332 0.9911
Ho 0.4443 0.2485 0.8712
Ho 0.9443 0.8712 0.2485
Ho 0.8835 0.2910 0.5036
Ho 0.1165 0.7090 0.4964
Ho 0.6165 0.4964 0.7090
Ho 0.0557 0.1288 0.7515
Ho 0.3835 0.5036 0.2910
Ho 0.3096 0.9911 0.4332
Tb 0.4542 0.7997 0.6936
Tb 0.5458 0.2003 0.3064
Tb 0.9542 0.6936 0.7997
Tb 0.0458 0.3064 0.2003
Y 0.2500 0.9792 0.0208
Y 0.7500 0.0208 0.9792

Summary:
SG = C2/c (15)
spin magnetization = 0.00 μB per cell

=====

2.
The following is a DFT calculation (PBE) of a relaxed structure of TbY6Ho2Sc3.

a b c (Å): 6.0582 6.0582 11.5056
angles (deg): 95.03 95.03 119.97
Atoms (fractional coordinates):
Y 0.0862 0.4197 0.2587
Y 0.4197 0.0862 0.2587
Y 0.2471 0.2471 0.7412
Y 0.7529 0.7529 0.2588
Y 0.5803 0.9138 0.7413
Y 0.9138 0.5803 0.7413
Tb 0.0000 0.0000 0.0000
Sc 0.5000 0.5000 0.5000
Sc 0.1669 0.8331 0.5000
Sc 0.8331 0.1669 0.5000
Ho 0.3334 0.6666 0.0000
Ho 0.6666 0.3334 0.0000

Summary:
SG = C2/m (12)
spin magnetization = 0.00 μB per cell

=====

| no. | formation energy from the elements (eV/atom) |
| --- | --- |
| 1 | 0.12 |
| 2 | 0.05 |

=====

Compound: AlAgBi
Source: Alexandria via LeMat-Bulk
Functional: PBE
Structure: optimized geometry

Computed properties:
* symmetry: F-43m, No. 216
* calculated total energy: -3.334 eV/atom
* offset from the most stable computed form: 0.0999 eV per atom
* ΔH_f (0 K): 0.1574 eV per atom
* M_tot: 0.0 μB/f.u.
* crystal system: cubic

Cell: 4.736 4.736 4.736 Å, 60.00 60.00 60.00°
Fractional coordinates of all 3 atoms:
Al (0.250, 0.250, 0.250)
Bi (0.000, 0.000, 0.000)
Ag (0.500, 0.500, 0.500)
........
_Response_
Y 0.2500 0.9792 0.0208
Y 0.7500 0.0208 0.9792

Summary:
SG = C2/c (15)
spin magnetization = 0.00 μB per cell

=====

2.
The following is a DFT calculation (PBE) of a relaxed structure of TbY6Ho2Sc3.

a b c (Å): 6.0582 6.0582 11.5056
angles (deg): 95.03 95.03 119.97
Atoms (fractional coordinates):
Y 0.0862 0.4197 0.2587
Y 0.4197 0.0862 0.2587
Y 0.2471 0.2471 0.7412
Y 0.7529 0.7529 0.2588
Y 0.5803 0.9138 0.7413
Y 0.9138 0.5803 0.7413
Tb 0.0000 0.0000 0.0000
Sc 0.5000 0.5000 0.5000
Sc 0.1669 0.8331 0.5000
Sc 0.8331 0.1669 0.5000
Ho 0.3334 0.6666 0.0000
Ho 0.6666 0.3334 0.0000

Summary:
SG = C2/m (12)
spin magnetization = 0.00 μB per cell

=====

| no. | formation energy from the elements (eV/atom) |
| --- | --- |
| 1 | 0.12 |
| 2 | 0.05 |

=====

Compound: AlAgBi
Source: Alexandria via LeMat-Bulk
Functional: PBE
Structure: optimized geometry

Computed properties:
* symmetry: F-43m, No. 216
* calculated total energy: -3.334 eV/atom
* offset from the most stable computed form: 0.0999 eV per atom
* ΔH_f (0 K): 0.1574 eV per atom
* M_tot: 0.0 μB/f.u.
* crystal system: cubic

Cell: 4.736 4.736 4.736 Å, 60.00 60.00 60.00°
Fractional coordinates of all 3 atoms:
Al (0.250, 0.250, 0.250)
Bi (0.000, 0.000, 0.000)
Ag (0.500, 0.500, 0.500)